The internet is a tricky place. To me, it’s very much like a sorcerer’s castle filled with echo chambers and mirrors like the kind you’d find in a Robert E. Howard novel. Those who live in the castle often forget that the vast majority of folks out there aren’t in that keep as often as they are, and they’re not conversing or interacting with them in the same way, either.
I see this every day. I’m online a lot for work-related purposes, but the effects of being online so much mean that I hear about the outrageous and the unusual often. (Rarely, if ever, do I see solutions. Solving problems is boring. Pointing them out is easier.) Truth be told, I would be considered a super-user. If you want to see depictions of what internet usage really looks like and how income is a factor, check out www.pewtrusts.org.
_Attached: records of crystals_
~~~
Calculated PXRD pattern of Li31Zr2P13 for Cu Kα (weighted mean of Kα1 and Kα2), from DFT lattice parameters and positions (PBE).

Crystal structure
Unit cell a=7.2430 b=4.1852 c=45.3355 alpha=90.00 beta=93.10 gamma=90.00
Space group Cm (No. 8)
One atom of each set of equivalent atoms:
Li 0.0000 0.0000 0.0000
Li 0.9996 0.5000 0.4990
Li 0.0192 0.0000 0.0581
Li 0.0373 0.0000 0.1123
Li 0.0376 0.5000 0.6132
Li 0.0559 0.5000 0.6679
Li 0.0756 0.5000 0.7271
Li 0.0776 0.0000 0.2320
Li 0.1145 0.0000 0.3436
Li 0.1143 0.5000 0.8434
Li 0.1524 0.0000 0.4581
Li 0.1892 0.0000 0.5697
Li 0.1914 0.5000 0.0747
Li 0.2109 0.5000 0.1334
Li 0.2294 0.5000 0.1886
Li 0.2296 0.0000 0.6895
Li 0.2479 0.0000 0.7440
Li 0.2675 0.0000 0.8026
Li 0.2674 0.5000 0.3031
Li 0.3072 0.0000 0.9221
Li 0.3070 0.5000 0.4208
Li 0.3438 0.0000 0.0319
Li 0.3444 0.5000 0.5330
Li 0.3632 0.5000 0.5900
Li 0.3835 0.0000 0.1511
Li 0.3834 0.5000 0.6506
Li 0.4036 0.0000 0.2116
Li 0.4215 0.5000 0.7648
Li 0.4226 0.0000 0.2689
Li 0.4392 0.5000 0.8181
Li 0.4599 0.0000 0.3810
Zr 0.1532 0.5000 0.9610
Zr 0.4614 0.5000 0.8849
P 0.0190 0.5000 0.5582
P 0.0557 0.0000 0.1677
P 0.0956 0.5000 0.7867
P 0.1334 0.0000 0.4009
P 0.1723 0.5000 0.0176
P 0.2114 0.0000 0.6344
P 0.2480 0.5000 0.2437
P 0.2874 0.0000 0.8620
P 0.3252 0.5000 0.4772
P 0.3635 0.0000 0.0909
P 0.4033 0.5000 0.7105
P 0.4418 0.0000 0.3247
P 0.4805 0.5000 0.9417

Peak list (8 most intense, 10° ≤ 2θ ≤ 90°, by angle)
2θ (°)  I/Imax  h k l
25.44  17  2 0 -4
25.58  31  0 0 13
26.03  100  2 0 -5
42.68  73  1 1 17
43.26  84  0 2 0
50.42  19  1 1 -22
62.39  23  4 0 16
78.94  23  4 2 16

***

Calculated PXRD pattern of LiPaRu2 for Cu Kα (weighted mean of Kα1 and Kα2), from DFT lattice parameters and positions (PBE).

Crystal structure
Unit cell a=6.4147 b=6.4147 c=6.4147 alpha=90.00 beta=90.00 gamma=90.00
Space group Fm-3m (No. 225)
One atom of each set of equivalent atoms:
Li 0.0000 0.0000 0.0000
Pa 0.0000 0.0000 0.5000
Ru 0.2500 0.2500 0.2500

Peak list (8 most intense, 10° ≤ 2θ ≤ 90°, by angle)
2θ (°)  I/Imax  h k l
24.03  62  1 1 1
39.74  100  2 2 0
46.98  32  3 1 1
57.46  17  4 0 0
63.18  14  3 3 1
72.14  35  4 2 2
77.29  10  5 1 1
85.66  11  4 4 0

***

Calculated PXRD pattern of Li8Pb3 for Cu Kα (weighted mean of Kα1 and Kα2), from DFT lattice parameters and positions (PBE).

Crystal structure
Unit cell a=4.7658 b=4.7658 c=32.2630 alpha=90.00 beta=90.00 gamma=120.00
Space group R-3m (No. 166, hexagonal axes)
One atom of each set of equivalent atoms:
Li 0.0000 0.0000 0.0890
Li 0.0000 0.0000 0.1793
Li 0.0000 0.0000 0.2728
Li 0.0000 0.0000 0.3616
Pb 0.0000 0.0000 0.0000
Pb 0.0000 0.0000 0.4527

Peak list (8 most intense, 10° ≤ 2θ ≤ 90°, by angle)
2θ (°)  I/Imax  h k l
22.23  100  0 1 2
24.22  35  1 0 4
24.84  28  0 0 9
29.04  29  1 0 7
37.62  41  0 1 11
37.75  41  1 1 0
45.72  35  1 1 9
68.10  22  3 0 0

***

Calculated PXRD pattern of Li7Pb2 for Cu Kα (weighted mean of Kα1 and Kα2), from DFT lattice parameters and positions (PBE).

Crystal structure
~~~
_The records of crystals stop here_
The perception that popularity sells books is dangerous because it’s not necessarily true. The other piece to that is money. Of those who know about you, which percentage of that are your readers. Of those readers, who is willing to spend money on your books?
Why is this important to remember? Writers don’t sell books. Writers write books. Writers can promote books, but unless you have a shopping cart set up on your own site? Retailers sell books. So your best chance of selling more books is either to a) write a better book b) write more books or c) market the books you do have hoping your efforts will have a direct impact. c) is madness. Marketing never ends. This is what people do for a full-time job. You need data, measurable actions, etc. You could drive yourself crazy and take precious time away from your writing.
When online stores do sell books, there is no guarantee yours will ever resonate with readers. This is fact. You cannot bank everything on the popularity you think you have, because you really don’t know what will take off, what won’t, how that will financially impact you, or how long your popularity will last. (Or, as I like to put it: the only thing writers have control over is the blank page.) Remember, too, there is a specific sales pattern that almost every retail site follows which always favors certain titles. I know we don’t want to think of our books and games as products, but in terms of sales, that’s what they are.
So what of your presence online? Those who are online every day paying attention to what you’re doing are the anomaly. From that subset, you may get some folks interacting with you, but you’ll also get readers who never do and still buy your books or games. Not everybody seeks out the creator and when they do, they don’t necessarily do it to converse with you or buy what you want them to. For example, I see a lot of “writing advice” websites out there. Does it help sell your fiction? Telling how the coffee is made (or, as an alternative how you make your coffee) and selling a unique brand of coffee are not the same thing. You could be known for one and not the other. You could sell one side of that coin, too, and not the other — or both.
Knowing how readers interact with us and when is only one part of this discussion. We also have to assume that we don’t really know those anonymous readers perusing our thoughts and websites and blogs. We don’t always know the “who.” Is that an agent? Publisher? Reader? If you are always negative, always pointing out the flaws, always critical: what does that have to do with what you do best? Your Art? Then, when folks do hear about you, it’s not when you’re at your best. Typically, links shared occur when that topic goes viral — which is an outlier and not indicative of people as individuals, but moreso when folks are upset.
Almost everything I do online is intentional based on how I’ve structured my business. When you see advice and whatnot on my website, it’s because I am sharing about what I do to get work and to build a solid, professional foundation. When I talk about process, like I have for Redwing’s Gambit, it’s to show how much I love writing and all the things I do to tell good stories. But, this is not the same thing as selling books. This is more to talk about who I am knowing that a reader may interact with my website now or at some point in the future. Social media is different. Twitter and Facebook are more personal, because they’re more ephemeral, but they are still me. I have good days and bad days but in between, social media is about me the writer, not me the book.
What I want to see more of, is the celebration of what we do as writers, our books, and each other. I don’t care if you’re self-published or not. Veteran or not. Why? Well, for an incredibly selfish reason. I believe everyone has a story to tell and that the world changes for the better when people read. I believe that literacy can only occur through great books, through fans passionate about what we’re writing, and through the excellent people in both aspects of the publishing industry I’m involved with. More of that. PLEASE! Because when we do this? And get folks excited about books? That puts the emphasis back on great storytelling and less so on internet popularity. The more readers there are, the more everybody — regardless of visibility — wins. In my mind, you cannot be online expecting to sell books without trying to attract readers. Forget who they are and how they interact with us, and you will either fall into the traps laid by faulty perceptions or completely ignore why you have a presence online in the first place. I don’t care if you believe you’re online for yourself or not; you are putting a piece of yourself into a new medium and your words don’t fall into the abyss, regardless of who’s reading them or not.
So, to sum up: you the person is not you the book. Stop the hard sell. It doesn’t work. You wrote the book. What next? Write another one. Find readers. How? By writing. Not selling. By engaging. Not selling. By making smart decisions with the folks you choose to publish and sell your books. Stop trying so hard! STOP GIVING AWAY ALL YOUR RIGHTS AND UNDERCUTTING WHAT YOU’RE WORTH. Be awesome. Be yourself. BE REASONABLE. Don’t worry about other writers “surpassing” you, because the success you perceive doesn’t impact what’s on YOUR screen. Congratulate them. Write the book you want to read. Read more. Don’t sell. Let the salespeople sell. You need to write the damn book.
And, finally…
You do not have to make your own cool, you are your own cool. Stop worrying about what anyone else thinks and keep writing — change the world one reader at a time. STOP BEING AFRAID. If you truly, deep down, want to write about something in particular and it’s right for you, the way will open. (It has for me.)
Now let all the b.s. from the day/week/month/year go and tell me a good story, dammit! Thrill me and chill me. Give me your fiction and your non-fiction. Say something about the folks whose work was so amazing it touched you. This is what we writers do. We give our readers an experience. Let’s give them everything we’ve got.
Write like your life depends on it — I do!